• Data:
____________
A plane-wave DFT calculation with PBE-GGA was carried out for crystalline K3NaU2S6 at its relaxed geometry.

a b c (Å): 7.123 7.123 7.697
angles (deg): 98.87 98.87 119.98
Sites, in units of the cell vectors:
K 0.158 0.842 0.500
K 0.842 0.158 0.500
K 0.500 0.500 0.500
Na 0.000 0.000 0.000
U 0.333 0.667 0.000
U 0.667 0.333 0.000
S 0.932 0.572 0.797
S 0.709 0.709 0.200
S 0.068 0.428 0.203
S 0.572 0.932 0.797
S 0.291 0.291 0.800
S 0.428 0.068 0.203

Formation energy from raw total energies   -1.418 eV per atom
Total DFT energy (no corrections)   -5.748 eV per atom
Size of the total moment   0.3333 μB per atom

~~~~~

# CoPdF

A relaxed CoPdF crystal (PBE with a Hubbard U, the Alexandria database).

CIF file:
```
data_CoPdF
_chemical_formula_sum 'Co2 Pd2 F2'
_space_group_name_H-M_alt 'P 1 21/m 1'
_space_group_IT_number 11
_cell_length_a 2.823
_cell_length_b 4.755
_cell_length_c 6.214
_cell_angle_alpha 90.00
_cell_angle_beta 103.33
_cell_angle_gamma 90.00
loop_
_space_group_symop_operation_xyz
'x,y,z'
'-x,-y,-z'
'-x,y+1/2,-z'
'x,-y+1/2,z'
loop_
_atom_site_label
_atom_site_fract_x
_atom_site_fract_y
_atom_site_fract_z
Co1 0.121 0.250 0.241
Pd1 0.437 0.250 0.880
F1 0.259 0.750 0.522
```

Energy above the most stable polymorph in this dataset ... 131 meV per atom
M_tot ... 5.8 Bohr magnetons per cell
Raw total energy ... -4.741 eV per atom

~~~~~

Density functional theory data (GGA-PBE) for a relaxed PrThPd4 crystal.
____________
• Brief:
Repeat all of the material further above with every line break kept, please.
• Worked solution:
A plane-wave DFT calculation with PBE-GGA was carried out for crystalline K3NaU2S6 at its relaxed geometry.

a b c (Å): 7.123 7.123 7.697
angles (deg): 98.87 98.87 119.98
Sites, in units of the cell vectors:
K 0.158 0.842 0.500
K 0.842 0.158 0.500
K 0.500 0.500 0.500
Na 0.000 0.000 0.000
U 0.333 0.667 0.000
U 0.667 0.333 0.000
S 0.932 0.572 0.797
S 0.709 0.709 0.200
S 0.068 0.428 0.203
S 0.572 0.932 0.797
S 0.291 0.291 0.800
S 0.428 0.068 0.203

Formation energy from raw total energies   -1.418 eV per atom
Total DFT energy (no corrections)   -5.748 eV per atom
Size of the total moment   0.3333 μB per atom

~~~~~

# CoPdF

A relaxed CoPdF crystal (PBE with a Hubbard U, the Alexandria database).

CIF file:
```
data_CoPdF
_chemical_formula_sum 'Co2 Pd2 F2'
_space_group_name_H-M_alt 'P 1 21/m 1'
_space_group_IT_number 11
_cell_length_a 2.823
_cell_length_b 4.755
_cell_length_c 6.214
_cell_angle_alpha 90.00
_cell_angle_beta 103.33
_cell_angle_gamma 90.00
loop_
_space_group_symop_operation_xyz
'x,y,z'
'-x,-y,-z'
'-x,y+1/2,-z'
'x,-y+1/2,z'
loop_
_atom_site_label
_atom_site_fract_x
_atom_site_fract_y
_atom_site_fract_z
Co1 0.121 0.250 0.241
Pd1 0.437 0.250 0.880
F1 0.259 0.750 0.522
```

Energy above the most stable polymorph in this dataset ... 131 meV per atom
M_tot ... 5.8 Bohr magnetons per cell
Raw total energy ... -4.741 eV per atom

~~~~~

Density functional theory data (GGA-PBE) for a relaxed PrThPd4 crystal.